[Listing]
-- begin --
CaTcRh, optimized geometry, DFT PBE-GGA; space-group type = P-6m2, No. 187; calculated formation energy = 0.36 eV/atom
1.0
4.678 0.000 0.000
-2.339 4.051 0.000
0.000 0.000 2.811
Ca Tc Rh
1 1 1
direct
0.000 0.000 0.000
0.333 0.667 0.500
0.667 0.333 0.500


Nb3AuN, optimized geometry, DFT PBE-GGA; E_tot = -8.692 eV per atom; space-group type = Pmma, No. 51
1.0
6.477 0.000 0.000
0.000 2.950 0.000
0.000 0.000 8.678
Nb Au N
6 2 2
direct
0.023 0.000 0.237
0.250 0.500 0.495
0.477 0.000 0.237
0.523 0.000 0.763
0.750 0.500 0.505
0.977 0.000 0.763
0.250 0.500 0.994
0.750 0.500 0.006
0.250 0.000 0.664
0.750 0.000 0.336


Results for M_tot: 0.000 0.000 (in μB per formula unit, following the order of the records).
Results for calculated volume: 17.8 16.6 (in Å³/atom, following the order of the records).

----------

1.
A plane-wave DFT calculation with GGA-PBE was carried out for crystalline SmNpTe3 at its relaxed geometry.

For the total DFT energy (no corrections), the calculation gives -6.38 eV/atom. Its space group is No. 14. The energy above the most stable polymorph in this dataset comes out at 0.004 eV/atom. The formation energy from raw total energies comes out at -463 kJ/mol of formula units.

The structure in CIF format:
```
data_SmNpTe3
_chemical_formula_sum 'Sm4 Np4 Te12'
_symmetry_space_group_name_H-M 'P 1'
_symmetry_Int_Tables_number 1
_symmetry_space_group_name_Hall 'P 1'
_cell_length_a 7.5224
_cell_length_b 8.9611
_cell_length_c 11.5184
_cell_angle_alpha 122.95
_cell_angle_beta 90.00
_cell_angle_gamma 90.00
loop_
_atom_site_label
_atom_site_fract_x
_atom_site_fract_y
_atom_site_fract_z
Sm1 0.6984 0.9488 0.3478
Sm2 0.3016 0.0512 0.6522
Sm3 0.1984 0.5512 0.1522
Sm4 0.8016 0.4488 0.8478
Np1 0.2566 0.9948 0.0023
Np2 0.7434 0.0052 0.9977
Np3 0.7566 0.5052 0.4977
Np4 0.2434 0.4948 0.5023
Te1 0.5089 0.2018 0.2691
Te2 0.4911 0.7982 0.7309
Te3 0.0089 0.2982 0.2309
Te4 0.9911 0.7018 0.7691
Te5 0.9846 0.8120 0.1161
Te6 0.0154 0.1880 0.8839
Te7 0.4846 0.6880 0.3839
Te8 0.5154 0.3120 0.6161
Te9 0.4997 0.7280 0.0369
Te10 0.5003 0.2720 0.9631
Te11 0.9997 0.7720 0.4631
Te12 0.0003 0.2280 0.5369
```

2.
A plane-wave DFT calculation with GGA-PBE was carried out for crystalline Ce2BeCo4Ge3 at its relaxed geometry.

For the total DFT energy (no corrections), the calculation gives -6.27 eV/atom. Its space group is No. 115. The calculation puts the formation energy at -0.485 eV per atom.

The structure in CIF format:
```
data_Ce2BeCo4Ge3
_chemical_formula_sum 'Ce2 Be1 Co4 Ge3'
_symmetry_space_group_name_H-M 'P 1'
_symmetry_Int_Tables_number 1
_symmetry_space_group_name_Hall 'P 1'
_cell_length_a 3.9605
_cell_length_b 3.9605
_cell_length_c 9.9123
_cell_angle_alpha 90.00
_cell_angle_beta 90.00
_cell_angle_gamma 90.00
loop_
_atom_site_label
_atom_site_fract_x
_atom_site_fract_y
_atom_site_fract_z
Ce1 0.5000 0.0000 0.2624
Ce2 0.0000 0.5000 0.7376
Be1 0.5000 0.5000 0.5000
Co1 0.5000 0.5000 0.0000
Co2 0.0000 0.0000 0.0000
Co3 0.5000 0.0000 0.6292
Co4 0.0000 0.5000 0.3708
Ge1 0.0000 0.0000 0.5000
Ge2 0.5000 0.0000 0.8701
Ge3 0.0000 0.5000 0.1299
```

3.
A plane-wave DFT calculation with GGA-PBE was carried out for crystalline PmHo5Au6 at its relaxed geometry.

For the total DFT energy (no corrections), the calculation gives -4.80 eV/atom. Its space group is No. 10. The calculation puts the formation energy at -0.856 eV per atom.

The structure in CIF format:
```
data_PmHo5Au6
_chemical_formula_sum 'Pm1 Ho5 Au6'
_symmetry_space_group_name_H-M 'P 1'
_symmetry_Int_Tables_number 1
_symmetry_space_group_name_Hall 'P 1'
_cell_length_a 5.1094
_cell_length_b 7.1517
_cell_length_c 8.1033
_cell_angle_alpha 90.00
_cell_angle_beta 108.46
_cell_angle_gamma 90.00
loop_
_atom_site_label
_atom_site_fract_x
_atom_site_fract_y
_atom_site_fract_z
Au1 0.8303 0.7471 0.6587
Au2 0.8303 0.2529 0.6587
Au3 0.5000 0.2602 0.0000
Au4 0.5000 0.7398 0.0000
Au5 0.1697 0.7471 0.3413
Au6 0.1697 0.2529 0.3413
Ho1 0.6654 0.5000 0.3317
Ho2 0.3331 0.0000 0.6654
Ho3 0.0000 0.5000 0.0000
-- stop --
[Assignment]
Print everything further above word for word, please.
[Done]
CaTcRh, optimized geometry, DFT PBE-GGA; space-group type = P-6m2, No. 187; calculated formation energy = 0.36 eV/atom
1.0
4.678 0.000 0.000
-2.339 4.051 0.000
0.000 0.000 2.811
Ca Tc Rh
1 1 1
direct
0.000 0.000 0.000
0.333 0.667 0.500
0.667 0.333 0.500


Nb3AuN, optimized geometry, DFT PBE-GGA; E_tot = -8.692 eV per atom; space-group type = Pmma, No. 51
1.0
6.477 0.000 0.000
0.000 2.950 0.000
0.000 0.000 8.678
Nb Au N
6 2 2
direct
0.023 0.000 0.237
0.250 0.500 0.495
0.477 0.000 0.237
0.523 0.000 0.763
0.750 0.500 0.505
0.977 0.000 0.763
0.250 0.500 0.994
0.750 0.500 0.006
0.250 0.000 0.664
0.750 0.000 0.336


Results for M_tot: 0.000 0.000 (in μB per formula unit, following the order of the records).
Results for calculated volume: 17.8 16.6 (in Å³/atom, following the order of the records).

----------

1.
A plane-wave DFT calculation with GGA-PBE was carried out for crystalline SmNpTe3 at its relaxed geometry.

For the total DFT energy (no corrections), the calculation gives -6.38 eV/atom. Its space group is No. 14. The energy above the most stable polymorph in this dataset comes out at 0.004 eV/atom. The formation energy from raw total energies comes out at -463 kJ/mol of formula units.

The structure in CIF format:
```
data_SmNpTe3
_chemical_formula_sum 'Sm4 Np4 Te12'
_symmetry_space_group_name_H-M 'P 1'
_symmetry_Int_Tables_number 1
_symmetry_space_group_name_Hall 'P 1'
_cell_length_a 7.5224
_cell_length_b 8.9611
_cell_length_c 11.5184
_cell_angle_alpha 122.95
_cell_angle_beta 90.00
_cell_angle_gamma 90.00
loop_
_atom_site_label
_atom_site_fract_x
_atom_site_fract_y
_atom_site_fract_z
Sm1 0.6984 0.9488 0.3478
Sm2 0.3016 0.0512 0.6522
Sm3 0.1984 0.5512 0.1522
Sm4 0.8016 0.4488 0.8478
Np1 0.2566 0.9948 0.0023
Np2 0.7434 0.0052 0.9977
Np3 0.7566 0.5052 0.4977
Np4 0.2434 0.4948 0.5023
Te1 0.5089 0.2018 0.2691
Te2 0.4911 0.7982 0.7309
Te3 0.0089 0.2982 0.2309
Te4 0.9911 0.7018 0.7691
Te5 0.9846 0.8120 0.1161
Te6 0.0154 0.1880 0.8839
Te7 0.4846 0.6880 0.3839
Te8 0.5154 0.3120 0.6161
Te9 0.4997 0.7280 0.0369
Te10 0.5003 0.2720 0.9631
Te11 0.9997 0.7720 0.4631
Te12 0.0003 0.2280 0.5369
```

2.
A plane-wave DFT calculation with GGA-PBE was carried out for crystalline Ce2BeCo4Ge3 at its relaxed geometry.

For the total DFT energy (no corrections), the calculation gives -6.27 eV/atom. Its space group is No. 115. The calculation puts the formation energy at -0.485 eV per atom.

The structure in CIF format:
```
data_Ce2BeCo4Ge3
_chemical_formula_sum 'Ce2 Be1 Co4 Ge3'
_symmetry_space_group_name_H-M 'P 1'
_symmetry_Int_Tables_number 1
_symmetry_space_group_name_Hall 'P 1'
_cell_length_a 3.9605
_cell_length_b 3.9605
_cell_length_c 9.9123
_cell_angle_alpha 90.00
_cell_angle_beta 90.00
_cell_angle_gamma 90.00
loop_
_atom_site_label
_atom_site_fract_x
_atom_site_fract_y
_atom_site_fract_z
Ce1 0.5000 0.0000 0.2624
Ce2 0.0000 0.5000 0.7376
Be1 0.5000 0.5000 0.5000
Co1 0.5000 0.5000 0.0000
Co2 0.0000 0.0000 0.0000
Co3 0.5000 0.0000 0.6292
Co4 0.0000 0.5000 0.3708
Ge1 0.0000 0.0000 0.5000
Ge2 0.5000 0.0000 0.8701
Ge3 0.0000 0.5000 0.1299
```

3.
A plane-wave DFT calculation with GGA-PBE was carried out for crystalline PmHo5Au6 at its relaxed geometry.

For the total DFT energy (no corrections), the calculation gives -4.80 eV/atom. Its space group is No. 10. The calculation puts the formation energy at -0.856 eV per atom.

The structure in CIF format:
```
data_PmHo5Au6
_chemical_formula_sum 'Pm1 Ho5 Au6'
_symmetry_space_group_name_H-M 'P 1'
_symmetry_Int_Tables_number 1
_symmetry_space_group_name_Hall 'P 1'
_cell_length_a 5.1094
_cell_length_b 7.1517
_cell_length_c 8.1033
_cell_angle_alpha 90.00
_cell_angle_beta 108.46
_cell_angle_gamma 90.00
loop_
_atom_site_label
_atom_site_fract_x
_atom_site_fract_y
_atom_site_fract_z
Au1 0.8303 0.7471 0.6587
Au2 0.8303 0.2529 0.6587
Au3 0.5000 0.2602 0.0000
Au4 0.5000 0.7398 0.0000
Au5 0.1697 0.7471 0.3413
Au6 0.1697 0.2529 0.3413
Ho1 0.6654 0.5000 0.3317
Ho2 0.3331 0.0000 0.6654
Ho3 0.0000 0.5000 0.0000